Exercise:
Type out only the last part of the calculation results underneath, starting with the line that has "-0.490".
Data:
+++
# 1
# C2H3CeO3

A molecular structure, C2H3CeO3 in a non-equilibrium geometry (ωB97M-V/def2-TZVPD, the OMol25 dataset).

E: -21191.864 eV
2S+1: 2
Gap between HOMO and LUMO (alpha / beta): 0.1944 / 0.1948 Eh
Total charge: 0

```
9
Properties=species:S:1:pos:R:3:forces:R:3:lowdin_charge:R:1
O -0.136 -1.488 0.520 0.620 0.697 0.234 -0.339
C -0.588 -0.936 -0.562 -0.646 -0.382 0.525 -0.162
C -1.183 0.441 -0.205 -0.501 -0.258 -1.452 -0.394
O -0.572 1.094 0.857 1.653 -0.573 1.318 -0.426
Ce 1.154 -0.019 1.681 -0.695 0.299 -2.930 1.543
H -2.263 0.239 -0.007 0.313 -0.014 -0.088 0.114
H -1.166 1.014 -1.162 0.089 0.071 0.670 0.104
H 2.261 -0.304 -1.040 0.511 0.635 2.383 0.049
O 2.493 -0.040 -0.082 -1.346 -0.475 -0.661 -0.490
```
Positions in Å, forces in eV/Å.

# 2
# C2H3Cl

2 unconnected molecules or ions with the total composition C2H3Cl in a non-equilibrium geometry (ωB97M-V/def2-TZVPD, the OMol25 dataset).

E: -14637.666 eV
2S+1: 1
Gap between HOMO and LUMO (alpha / beta): 0.2961 / 0.3032 Eh
Energy relative to the best compared isomer or geometry (same formula, charge and spin): 153.24 kcal/mol
Total charge: 0

```
6
Properties=species:S:1:pos:R:3:forces:R:3:nbo_charge:R:1
C -0.002 -0.651 -0.994 2.897 1.280 2.881 -0.246
C 0.237 0.513 0.984 1.635 -1.708 -3.887 -0.233
Cl -0.917 1.551 1.563 -0.611 0.169 -0.004 0.074
H 0.483 -1.614 -1.257 0.547 0.791 0.514 0.140
H -0.994 -0.816 -1.001 -3.734 -0.108 -0.178 0.097
H 1.194 1.018 0.704 -0.733 -0.425 0.674 0.168
```
Positions in Å, forces in eV/Å.

# 3
# C2H3Cl

A single C2H3Cl molecule in a non-equilibrium geometry (ωB97M-V/def2-TZVPD, the OMol25 dataset).

E: -14644.058 eV
2S+1: 1
Gap between HOMO and LUMO: 0.3991 Eh
Energy relative to the best compared isomer or geometry (same formula, charge and spin): 5.83 kcal/mol
Total charge: 0

```
6
Properties=species:S:1:pos:R:3:forces:R:3:nbo_charge:R:1
C 0.641 -0.420 0.032 0.089 3.532 -0.787 -0.416
C -0.416 0.406 -0.039 0.973 0.916 1.077 -0.231
Cl -2.006 -0.213 0.004 -0.830 -0.179 -0.144 -0.007
H 0.584 -1.465 -0.047 -0.080 -1.122 0.070 0.215
H 1.600 0.134 -0.029 -0.452 -0.896 0.267 0.212
H -0.403 1.559 0.079 0.301 -2.251 -0.483 0.226
```
Positions in Å, forces in eV/Å.
+++
Result:
O 2.493 -0.040 -0.082 -1.346 -0.475 -0.661 -0.490
```
Positions in Å, forces in eV/Å.

# 2
# C2H3Cl

2 unconnected molecules or ions with the total composition C2H3Cl in a non-equilibrium geometry (ωB97M-V/def2-TZVPD, the OMol25 dataset).

E: -14637.666 eV
2S+1: 1
Gap between HOMO and LUMO (alpha / beta): 0.2961 / 0.3032 Eh
Energy relative to the best compared isomer or geometry (same formula, charge and spin): 153.24 kcal/mol
Total charge: 0

```
6
Properties=species:S:1:pos:R:3:forces:R:3:nbo_charge:R:1
C -0.002 -0.651 -0.994 2.897 1.280 2.881 -0.246
C 0.237 0.513 0.984 1.635 -1.708 -3.887 -0.233
Cl -0.917 1.551 1.563 -0.611 0.169 -0.004 0.074
H 0.483 -1.614 -1.257 0.547 0.791 0.514 0.140
H -0.994 -0.816 -1.001 -3.734 -0.108 -0.178 0.097
H 1.194 1.018 0.704 -0.733 -0.425 0.674 0.168
```
Positions in Å, forces in eV/Å.

# 3
# C2H3Cl

A single C2H3Cl molecule in a non-equilibrium geometry (ωB97M-V/def2-TZVPD, the OMol25 dataset).

E: -14644.058 eV
2S+1: 1
Gap between HOMO and LUMO: 0.3991 Eh
Energy relative to the best compared isomer or geometry (same formula, charge and spin): 5.83 kcal/mol
Total charge: 0

```
6
Properties=species:S:1:pos:R:3:forces:R:3:nbo_charge:R:1
C 0.641 -0.420 0.032 0.089 3.532 -0.787 -0.416
C -0.416 0.406 -0.039 0.973 0.916 1.077 -0.231
Cl -2.006 -0.213 0.004 -0.830 -0.179 -0.144 -0.007
H 0.584 -1.465 -0.047 -0.080 -1.122 0.070 0.215
H 1.600 0.134 -0.029 -0.452 -0.896 0.267 0.212
H -0.403 1.559 0.079 0.301 -2.251 -0.483 0.226
```
Positions in Å, forces in eV/Å.